Oil Prices: Tired Of It.

I so fuckin tired of everything having an effect on oil prices. EVERYTHING. Hey there was threat in the middleast; raise the price. hey we dont like Iran; raise the price. Hey these pipelines are in danger; raise the price. Hey I lift weights; raise the price. Forecasters this and stockmarket that.All of these are POTENTIAL threats. Threat on this or that. Speculation.

We werent having this problem 10 years ago, at least not on this level. We all know that gas will never be under 3 bucks a gallon again but seriously. One of you smart guys chime in and tell me factual information. Thats all fine and dandy but the bottom line is I hate oil. I hate getting gas, I hate hearing about Exxon having billion dollar profits.I hate hearing about gas.

Next summer it may be 4 bucks a gallon. Really? 4 bucks? One quarter of people would stop driving. Whatever happened to the government investigation on price gouging? Someone please chime in before I shoot an oil exec.

It’s called supply and demand dude - at the margin. What those in charge don’t wanna admit publicly is the obvious - noone anywhere has spare capacity left to ramp up production so prices are extremely volatile and highly sensitive to news events. Every barrel of production is needed for consumption and the only thing that will happen now is for demand to adjust to supply instead of supply adjusting for demand like in the previous 200 years of our oil existance.

Google peak oil and read the works of Matt Simons and other great investors who have been taking positions in oil and oil related stocks for the last few years now. It will blow your mind the coming implications for our society as we must adjust to this reality of reaching the halfway point of oil production and enter the coming decline in this production. Scary stuff, but better to confront it head on than stick your head in the sand.

Get used to a world of competing for diminishing oil resources with an industrializing Asia resulting in much much higher prices from here in the medium to long term.

Rant over,

[quote]Bigpull wrote:
I so fuckin tired of everything having an effect on oil prices. EVERYTHING. Hey there was threat in the middleast; raise the price. hey we dont like Iran; raise the price. Hey these pipelines are in danger; raise the price.Hey I lift weights; raise the price. Forecasters this and stockmarket that.All of these are POTENTIAL threats. Threat on this or that. Speculation.

We werent having this problem 10 years ago, at least not on this level. We all know that gas will never be under 3 bucks a gallon again but seriously. One of you smart guys chime in and tell me factual information. Thats all fine and dandy but the bottom line is I hate oil. I hate getting gas, I hate hearing about Exxon having billion dollar profits.I hate hearing about gas.

Next summer it may be 4 bucks a gallon. Really? 4 bucks? One quarter of people would stop driving. Whatever happened to the government investigation on price gouging? Someone please chime in before I shoot an oil exec.[/quote]

4 bucks a gallon? MAN I WISH it was that cheap. You guys gotta get out of the country and see what other people are paying and quit complaining.

Also it doesn’t always go up, it went down with latest plane bomb threat.

Here’s a tip: put some of your money into oil stocks/futures. Then when it goes up, you get richer, and can afford to buy some for your car. That’s what everyone is doing and getting richer and richer (and no doubt, your very own president is making a killing too. What WAS his background?).

Or here is another positive, when Iran sets up its oil exchange, and oil is traded somewhere other than America, then that might do wonders for the price as well. Or maybe not for USA anyway (the price will be the same but the profits will not).

I’m really not worried about it. If you cut down on unnecessary expenses, you will find a way to afford gas no matter how much it is (unless it’s ridiculously over priced - >$20/gallon).

Everything goes up over time. You either make more money to keep up with it, or find ways to reduce costs.

And if you hate oil, then find alternative sources. Ride your bike. Use electric instead of gas appliances. Drive a higher-fuel efficient car.

If you spend your money on soda, cigarettes or other useless junk, then you shouldn’t really worry about the price of oil. :wink:

[quote]atroopan wrote:
It’s called supply and demand dude
What the man says. Everybody wants oil, less and les countries have got it. And its probably going to get worse.

There’s plenty of doom-sayers out there saying its all going to run out very soon. But really, no-one knows how much oil is left. Everybody in the industry has an incentive to lie about how much they have. If you’re an oil company, you’re going to say you’re short on reserves, prices go up, you’re raking it in. If you’re an oil exporting country, you’re going to say that you’ve got plenty left, to avoid scaring foreign investors away. In truth, no-one knows.

But if its costing you too much, use less. Get on your bike and get some exercise.

Hey, what kind of answer did you expect? This is T-Nation, where exercise is the answer to every question, social, intellectual, or geo-political.

I’ve taken my own approach to locking in fuel prices. I filled my bathtub and every other watertight vessel in my apartment with gasoline.

They say that you adjust to any smell after 4 minutes, but I can assure you that with a house full of gasoline this rule does not apply and I’ve been getting headaches lately from the strong odor.

[quote]Bigpull wrote:

One of you smart guys chime in and tell me factual information.

Whatever happened to the government investigation on price gouging? quote]

These are actually where I was waiting for someone to chime in. I did realize the responses I might get. Nobody cares that Exxon made 6.5 billion profit over what the made the year prior. Something seems weird there,even with oil comsumption and prices up.

Nate Dogg: I dont smoke or drink pop so there goes that theory.

[quote]Bigpull wrote:
Bigpull wrote:

One of you smart guys chime in and tell me factual information.

Whatever happened to the government investigation on price gouging? quote]

These are actually where I was waiting for someone to chime in. I did realize the responses I might get. Nobody cares that Exxon made 6.5 billion profit over what the made the year prior. Something seems weird there,even with oil comsumption and prices up.

Nate Dogg: I dont smoke or drink pop so there goes that theory.


Then I guess you have to find ways to reduce your consumption or make more money to keep up with the costs. :wink:

Boo fucking hoo. You don’t like the price of gas? Deal with it. Stop driving everywhere. Move closer to work. Society is currently based on commuting. It is time to start living near everything you need so that you don’t have to drive.

Despite what those alarmist peak oil sites say, oil is not going to run out all of a sudden and society is not going to suddenly collapse. Companies will find more oil – but it won’t be from conventional sources. Unconventional sources of oil such as offshore, thermal heavy oil, and oilsands have much lower payouts than conventional oil since the oil doesn’t necessarily flow up out of the ground like on The Beverly Hillbillies.

The price of oil will never go back down. Even if everyone in the world stopped driving, oil is needed to make plastics (take a look around where you’re sitting and notice how many things you can spot that are made of plastic) and is still the fuel of industry – you know, the industry that makes solar panels and hybrid cars?

The wars of the 21st century will be fought over natural resources, so get ready.

I’m tired of hearing rants from people who seem to think that cheap gas is a right or a basic need. Look at your life and realize that it is not, and then do something about it.

[quote]Magarhe wrote:
Here’s a tip: put some of your money into oil stocks/futures. Then when it goes up, you get richer, and can afford to buy some for your car. That’s what everyone is doing and getting richer and richer (and no doubt, your very own president is making a killing too. What WAS his background?).[/quote]

Oil futures? What future??

It would be a better long-term, even short-term, strategy to invest in sustainable energy. By definition, we will one day all be using sustainable/renewable energy.

Once all the stored energy is used up, all you’re left with is today’s energy, to be used today… aka solar and wind (which is actually solar itself, the sun heating the air).

Oh, you could put some plants in the ground for biofuels, but then you’ve got to wait. Meanwhile, demand outstrips capacity, and solar energy is being wasted on the plant’s lifecycle.

Silly humans, the sun is the source of all energy/matter on Earth. It’s most efficient to go to it direct.

In one year, more solar energy hits the planet than the energy of all the oil ever used plus all the oil still to be pumped plus all the oil projected to yet be discovered. This is a fact.

The United States has been referred to as “the Saudi Arabia of wind power” due to the Great Plains region, and could easily generate all necessary energy by exploiting this strength, still having some to sell for export. This is a fact.

On distributed, clean energy systems based on solar, wind, etc. corporations and government toadies and other rich fucking pigs cannot kill people and steal their oil and fix prices and get richer and bleed us all stupid, while we choke ourselves and burn our skins off to the death with carbon emissions. This is a fact.

The same thing could happen on nuclear energy, as uranium is not dispersed evenly throughout the globe and nuclear power plants emit radiation even under normal operating conditions to pollute our bodies/environment. We’d just have green clouds next to the gray, with Canada and Australia raided for fuel instead of the Middle East.

Geothermal and water-gravity, while good clean fun, are already tapped out. Only 2% of US rivers have yet to be dammed. Of the three effective US geothermal sites, 2 are tapped and the other is a national park. Other countries are in the same situation.

Solar and wind are the future for everyone. This is a fact.

I heard of a factory here in the US which makes solar panels. Germany promises 40% sustainable energy economy by 2020. Germany bought the entire production line of solar panels from this company, for the next five years! Sheeit, you wanna talk about investment, one can’t do much better than that. And with a clear conscience too.

you want the truth? well, i don’t have the time, i don’t have the time.

what i can say, as a big bad oil employee, is that i get free gas. we all do. plus the company picks up my electric bill. so, in short, i don’t much give a fuck.

plus, every time oil prices go up, i get a huge bonus check and a party chock full of hookers, $1000 dollar bottles of vino, and hyoooge bags of coke.

i’m not bragging or nothing man, but this is the life!

the sad thing is we’ve had technology to implement alternatice energy sources for years but the government refuses to initiate changes because of the lobbyist (typical for the U.S.)

why haven’t solar panels been installed in homes or more windmills been installed in the desserts. Even if we can’t produce crazy amounts of ethanol, why are we not producing at maximum capacity yet. no significant economies of scale have been applied to any of these technologies and think about the jobs that would be created within the country.

and all the foreigners who say that americans need to stop complaining should remeber that we produce our own oil so therefore we deserve to have cheaper prices. It’s the foreign governments that levy taxes on their societies. laters pk

I agree with this. I’m sick of it, too.

US oil companies have stockpiles of this stuff. When prices go up, they don’t even buy oil. They use their stock to sell to the gas stations. They just pocket the extra money (proof of that is the record earnings they post each quarter that this occurs).

Also, really tired of hearing “try leaving the country / see what other countries pay.” Who cares? We are ALL getting shafted. Seems to me people from other countries have just dealt with it longer and should therefore be even MORE pumped (no pun intended) to rise up and say / do something about it.

I think the point here should be: it sucks, no matter where you live, and something should be done about it.

However, that being said, I have NO idea what that would be. :wink:

On a lighter subject, let’s all stop and stare at today’s Powerful Image for a while. Great googly moogly.

All you have to do is get a job that gives you a vehicle, and a gas card; and have a boss and main office that is in an entirely different state.

I don’t even have to look at the prices of different gas stations anymore. I just go to the closest one when the light comes on.

Who put the gun to your head and told you to buy gas?

[quote]SWR-1240 wrote:
All you have to do is get a job that gives you a vehicle, and a gas card; and have a boss and main office that is in an entirely different state.

I don’t even have to look at the prices of different gas stations anymore. I just go to the closest one when the light comes on.[/quote]

No offence to you, but half the problem are the people who don’t care about thier gas milage, and truck drivers who guzzle gas going rediculously fast in a not so aerodynamic vehicle. If people actually drove efficiently it would be a miracle. Although the damn oil companies wouldn’t lower thier prices anyways.

[quote]pkradgreek wrote:
why haven’t solar panels been installed in homes or more windmills been installed in the desserts. Even if we can’t produce crazy amounts of ethanol, why are we not producing at maximum capacity yet. no significant economies of scale have been applied to any of these technologies and think about the jobs that would be created within the country.[/quote]

Good point about the jobs, I forgot to hit upon that one.

The piece is interrupted by data records.
Entry 1:
## KV6O11 (PBE with a Hubbard U)

Data for KV6O11 after structural relaxation. Values from VASP.

Energy ... -7.5834 eV per atom
Symmetry ... P6_3mc
Polymorph energy (0 for the lowest one) ... 0.0175 eV/atom

The structure in Quantum ESPRESSO input format:
```
&SYSTEM
  ibrav = 0, nat = 36, ntyp = 3
/
ATOMIC_SPECIES
K 39.10 K.upf
V 50.94 V.upf
O 16.00 O.upf
ATOMIC_POSITIONS crystal
K 0.3333 0.6667 0.0000
K 0.6667 0.3333 0.5000
V 0.0000 0.0000 0.1066
V 0.0000 0.0000 0.3975
V 0.0000 0.0000 0.6066
V 0.0000 0.0000 0.8975
V 0.0008 0.5004 0.2523
V 0.3333 0.6667 0.5053
V 0.5004 0.0008 0.7523
V 0.4996 0.5004 0.2523
V 0.5004 0.4996 0.7523
V 0.4996 0.9992 0.2523
V 0.6667 0.3333 0.0053
V 0.9992 0.4996 0.7523
O 0.1519 0.3038 0.5023
O 0.1519 0.8481 0.5023
O 0.1721 0.3443 0.8283
O 0.1721 0.8279 0.8283
O 0.1729 0.3457 0.1748
O 0.1729 0.8271 0.1748
O 0.3038 0.1519 0.0023
O 0.3333 0.6667 0.3396
O 0.3333 0.6667 0.6640
O 0.3443 0.1721 0.3283
O 0.3457 0.1729 0.6748
O 0.6543 0.8271 0.1748
O 0.6557 0.8279 0.8283
O 0.6667 0.3333 0.1640
O 0.6667 0.3333 0.8396
O 0.6962 0.8481 0.5023
O 0.8271 0.1729 0.6748
O 0.8271 0.6543 0.6748
O 0.8279 0.1721 0.3283
O 0.8279 0.6557 0.3283
O 0.8481 0.1519 0.0023
O 0.8481 0.6962 0.0023
CELL_PARAMETERS angstrom
5.9274 0.0000 0.0000
-2.9637 5.1332 0.0000
0.0000 0.0000 13.3876
```


Entry 2:
## Zn2Co9O13 (PBE with a Hubbard U)

Data for Zn2Co9O13 after structural relaxation. Values from VASP.

Energy ... -5.6955 eV per atom
Symmetry ... C2/m

The structure in Quantum ESPRESSO input format:
```
&SYSTEM
  ibrav = 0, nat = 24, ntyp = 3
/
ATOMIC_SPECIES
Zn 65.41 Zn.upf
Co 58.93 Co.upf
O 16.00 O.upf
ATOMIC_POSITIONS crystal
Zn 0.2068 0.2068 0.2325
Zn 0.7932 0.7932 0.7675
Co 0.0079 0.0079 0.6704
Co 0.0725 0.0725 0.8722
Co 0.2488 0.2488 0.5828
Co 0.3582 0.3582 0.9594
Co 0.5000 0.5000 0.5000
Co 0.6418 0.6418 0.0406
Co 0.7512 0.7512 0.4172
Co 0.9275 0.9275 0.1278
Co 0.9921 0.9921 0.3296
O 0.0000 0.0000 0.0000
O 0.1223 0.1223 0.4649
O 0.1437 0.1437 0.7770
O 0.2985 0.2985 0.0705
O 0.3683 0.3683 0.6917
O 0.3902 0.3902 0.3906
O 0.4294 0.4294 0.8560
O 0.5706 0.5706 0.1440
O 0.6098 0.6098 0.6094
O 0.6317 0.6317 0.3083
O 0.7015 0.7015 0.9295
O 0.8563 0.8563 0.2230
O 0.8777 0.8777 0.5351
CELL_PARAMETERS angstrom
4.9600 -1.4637 0.0000
4.9600 1.4637 0.0000
-2.5372 0.0000 16.5809
```


Entry 3:
## Li2MnNb3O8 (PBE with a Hubbard U)

Data for Li2MnNb3O8 after structural relaxation. Values from VASP.

Energy ... -8.0393 eV per atom
Symmetry ... P6_3mc
Polymorph energy (0 for the lowest one) ... 0.0000 eV/atom

The structure in Quantum ESPRESSO input format:
```
&SYSTEM
  ibrav = 0, nat = 28, ntyp = 4
/
ATOMIC_SPECIES
Li 6.94 Li.upf
Mn 54.94 Mn.upf
Nb 92.91 Nb.upf
O 16.00 O.upf
ATOMIC_POSITIONS crystal
Li 0.0000 0.0000 0.0000
Li 0.0000 0.0000 0.5000
Li 0.3333 0.6667 0.3951
Li 0.6667 0.3333 0.8951
Mn 0.3333 0.6667 0.0059
Mn 0.6667 0.3333 0.5059
Nb 0.1768 0.3536 0.7188
Nb 0.1768 0.8232 0.7188
Nb 0.3536 0.1768 0.2188
Nb 0.6464 0.8232 0.7188

Whoever develops, improves, produces and ships sustainable energy technologies for the world, will see their unemployment problems evaporate. Check out FDR’s New Deal if you don’t believe me. They basically did this back then, building hydroelectric plants and generally improving public infrastructures nationwide.

It boggles the mind that with determination, the US went from silly rockets falling over to a manned moon landing in 10 years. Yet we’ve known forever that oil is the devil, but had no determination to make the intelligent change. To continue to use oil is to fly in the face of all reason, for all but the people profitting off of it.

Think back to the mid-1970s. Oil crisis, 55 mph speed limits, Carter calling for an end to oil imports. Americans drive smaller cars for a few years until demand goes down enough that oil is affordable again. So they go back to gas guzzlers until the next price hike. Now some people are selling their guzzlers and buying hybrids. So the cycle will repeat.

Now look at what Brazil did. Mid-1970s, economy stagnant due to oil prices. So they determine to go to ethanol. Thirty years later, during which the US has done absolutely nothing, Brazil has become energy independant. That was their space race.

When we will start ours? It won’t be long. Peak oil and global warming are here to stay. If I had money, I know where I’d invest it.

[quote]Blood is Metal wrote:
I agree with this. I’m sick of it, too.

US oil companies have stockpiles of this stuff. When prices go up, they don’t even buy oil. They use their stock to sell to the gas stations. They just pocket the extra money (proof of that is the record earnings they post each quarter that this occurs).

Also, really tired of hearing “try leaving the country / see what other countries pay.” Who cares? We are ALL getting shafted. Seems to me people from other countries have just dealt with it longer and should therefore be even MORE pumped (no pun intended) to rise up and say / do something about it.

I think the point here should be: it sucks, no matter where you live, and something should be done about it.

However, that being said, I have NO idea what that would be. ;)[/quote]

Some of you really have no clue do you?

For the last 15 or so years the oil industry has operated with very little of a profit.
Hell, I can remember when my refinery was doing good if we made 20 million in a year. We were getting our asses handed to us by McDonald’s, Coca-Cola, Nike, etc. Micheal Jordan made more money than us in the late 90’s.

The problem is limited refining capacity coupled with increased global demand for oil. Why do you think the U.S. is strapped for refining capacity? If there was a profit to be made we would havve expanded refineries to increase throughput. Another reason is the BS companies have to go through for environmental permitting. You don’t just go down to the local Wal-Mart and get one of these.

There is an industrial revolution on a global scale right now with China nad India taking in more oil than ever before.

I work at the second to last grass roots refinery built in the U.S. it was commisioned in 1967. The last one is 20 mi away and it was built in 1976.

Like I mentioned before,

[quote]Race Fan wrote:
Blood is Metal wrote:
I agree with this. I’m sick of it, too.

US oil companies have stockpiles of this stuff. When prices go up, they don’t even buy oil. They use their stock to sell to the gas stations. They just pocket the extra money (proof of that is the record earnings they post each quarter that this occurs).

Also, really tired of hearing “try leaving the country / see what other countries pay.” Who cares? We are ALL getting shafted. Seems to me people from other countries have just dealt with it longer and should therefore be even MORE pumped (no pun intended) to rise up and say / do something about it.

I think the point here should be: it sucks, no matter where you live, and something should be done about it.

However, that being said, I have NO idea what that would be. :wink:

Some of you really have no clue do you?

## Here the page breaks off for calculated crystals
┌──
VASP calculation (GGA+U) on a geometry-optimized LiMg6FeO8 structure.

Output
Offset from the most stable computed form   0 meV per atom
Crystal system   tetragonal
SG   P4/mmm

Cell: 4.216 4.216 8.553 Å, 90.00 90.00 90.00°
Sites, in units of the cell vectors:
Li1 0.000 0.000 0.000
Mg1 0.000 0.000 0.500
Mg2 0.000 0.500 0.247
Mg3 0.000 0.500 0.753
Mg4 0.500 0.000 0.247
Mg5 0.500 0.000 0.753
Mg6 0.500 0.500 0.500
Fe1 0.500 0.500 0.000
O1 0.000 0.000 0.257
O2 0.000 0.000 0.743
O3 0.000 0.500 0.000
O4 0.000 0.500 0.500
O5 0.500 0.000 0.000
O6 0.500 0.000 0.500
O7 0.500 0.500 0.241
O8 0.500 0.500 0.759

***

VASP calculation (GGA+U) on a geometry-optimized Li3Mg2Fe19O32 structure.

Output
Crystal system   monoclinic
SG   Cm

Cell: 5.996 5.996 19.976 Å, 98.30 98.30 60.50°
Sites, in units of the cell vectors:
Li1 0.000 0.000 0.000
Li2 0.253 0.253 0.752
Li3 0.503 0.503 0.503
Mg1 0.287 0.287 0.349
Mg2 0.528 0.528 0.091
Fe1 0.002 0.505 0.000
Fe2 0.010 0.502 0.503
Fe3 0.029 0.029 0.598
Fe4 0.127 0.127 0.877
Fe5 0.222 0.222 0.154
Fe6 0.252 0.753 0.752
Fe7 0.258 0.754 0.251
Fe8 0.380 0.380 0.628
Fe9 0.479 0.479 0.906
Fe10 0.502 0.010 0.503
Fe11 0.505 0.002 0.000
Fe12 0.628 0.628 0.377
Fe13 0.729 0.729 0.656
Fe14 0.752 0.752 0.251
Fe15 0.753 0.252 0.752
Fe16 0.754 0.258 0.251
Fe17 0.776 0.776 0.845
Fe18 0.879 0.879 0.119
Fe19 0.979 0.979 0.409
O1 0.056 0.587 0.192
O2 0.057 0.057 0.191
O3 0.061 0.061 0.695
O4 0.087 0.564 0.689
O5 0.159 0.691 0.062
O6 0.192 0.192 0.058
O7 0.193 0.672 0.565
O8 0.198 0.198 0.564
O9 0.308 0.308 0.940
O10 0.312 0.312 0.449
O11 0.314 0.835 0.939
O12 0.337 0.816 0.437
O13 0.416 0.943 0.813
O14 0.444 0.444 0.808
O15 0.454 0.454 0.311
O16 0.455 0.915 0.310
O17 0.559 0.559 0.691
O18 0.564 0.087 0.689
O19 0.568 0.568 0.195
O20 0.587 0.056 0.192
O21 0.672 0.193 0.565
O22 0.691 0.159 0.062
O23 0.696 0.696 0.558
O24 0.700 0.700 0.060
O25 0.810 0.810 0.440
O26 0.810 0.810 0.942
O27 0.816 0.337 0.437
O28 0.835 0.314 0.939
O29 0.915 0.455 0.310
O30 0.941 0.941 0.307
O31 0.943 0.416 0.813
O32 0.946 0.946 0.812

***

VASP calculation (GGA+U) on a geometry-optimized LiMg6FeO8 structure.

Output
Offset from the most stable computed form   9 meV per atom
Crystal system   tetragonal
SG   P4/mmm

Cell: 4.236 4.236 8.555 Å, 90.00 90.00 90.00°
Sites, in units of the cell vectors:
Li1 0.000 0.000 0.000
Mg1 0.000 0.500 0.237
Mg2 0.000 0.500 0.763
Mg3 0.500 0.000 0.237
Mg4 0.500 0.000 0.763
Mg5 0.500 0.500 0.000
Mg6 0.500 0.500 0.500
Fe1 0.000 0.000 0.500
O1 0.000 0.000 0.269
O2 0.000 0.000 0.731
O3 0.000 0.500 0.000
O4 0.000 0.500 0.500
O5 0.500 0.000 0.000
O6 0.500 0.000 0.500
O7 0.500 0.500 0.254
O8 0.500 0.500 0.746

***

VASP calculation (GGA+U) on a geometry-optimized Li4Mn2Nb3Fe3O16 structure.

Output
Crystal system   monoclinic
SG   Cm

Cell: 6.059 6.059 9.922 Å, 91.32 91.32 61.09°
Sites, in units of the cell vectors:
Li1 0.000 0.000 0.000
Li2 0.007 0.007 0.505
Li3 0.359 0.359 0.409
Li4 0.687 0.687 0.883
Mn1 0.369 0.369 0.995
Mn2 0.692 0.692 0.502
└──

For the last 15 or so years the oil industry has operated with very little of a profit.
Hell, I can remember when my refinery was doing good if we made 20 million in a year. We were getting our asses handed to us by McDonald’s, Coca-Cola, Nike, etc. Micheal Jordan made more money than us in the late 90’s.

The problem is limited refining capacity coupled with increased global demand for oil. Why do you think the U.S. is strapped for refining capacity? If there was a profit to be made we would havve expanded refineries to increase throughput. Another reason is the BS companies have to go through for environmental permitting. You don’t just go down to the local Wal-Mart and get one of these.

There is an industrial revolution on a global scale right now with China nad India taking in more oil than ever before.

I work at the second to last grass roots refinery built in the U.S. it was commisioned in 1967. The last one is 20 mi away and it was built in 1976.

Like I mentioned before,


You hit the nail right on the head. The key is refinery capacity. Everyone acts as if demand isn’t being met by crude supply. Crude oil inventories come out every Wednesday at 10:30 EST and you can watch and see there is never a dire situation with supply, just an occasional drawdown, and often a report above expectation. But cars don’t run on crude oil, and we can’t refine the stuff fast enough. We can’t have our cake and eat it too. We can’t refine the oil we need and have a clean environment.

Add some big players/speculators in the crude oil markets, with this limited refining capacity, and that’s a good recipe for rising prices.